The Proliferation Of Guns In The U.S. Makes It Almost Impossible To Be A 'Good Cop'

Imagine for a moment that you live in a world free of racism. In this pretend world, you are a police officer. As such, you are issued a firearm. This firearm is meant to be used as sparingly as possible, only when your life or the life of someone else is immediately threatened. Sometimes bad guys are really, really bad, and police like you have to make fast, difficult decisions about when to use their firearm. You joined the police force with pure intentions. You truly want to serve and protect your community. The idea of killing someone, even a “bad guy,” even in defense of your own or someone else’s life, makes your stomach turn.
Now imagine that, in this racism-free fantasy world, the amount of people you interact with is far outnumbered by the amount of guns those people have—you are literally outgunned by the people you have been sworn to protect. In any situation, at any given moment, you may have a loaded firearm pointed in your face. You can’t know who has a gun and who doesn’t have a gun, because the law says that almost anyone can carry a concealed weapon. There is no registry, no way to know ahead of time what you’re walking into.
Materials data that have nothing to do with the piece =
Theoretical X-ray diffraction stick pattern of SrAl2Ga4 for Cu Kα X-rays, from a cell relaxed with PBE.
Lines closer than 0.1° are merged.

Top 12 peaks for 2θ from 10° to 80°, in order of falling intensity:
| two_theta | d_spacing | I/Imax |
| --- | --- | --- |
| 31.36 | 2.853 | 100 |
| 34.81 | 2.577 | 31 |
| 45.19 | 2.006 | 31 |
| 41.39 | 2.181 | 29 |
| 26.74 | 3.334 | 29 |
| 42.26 | 2.138 | 27 |
| 44.84 | 2.021 | 18 |
| 60.64 | 1.527 | 18 |
| 55.87 | 1.646 | 16 |
| 63.31 | 1.469 | 13 |
| 21.51 | 4.131 | 13 |
| 35.07 | 2.559 | 13 |

Atomic structure:
```
SrAl2Ga4
1.0
4.2769 0.0000 0.0000
0.0000 4.3629 0.0000
0.0000 0.0000 15.9673
Sr Al Ga
2 4 8
direct
0.0000 0.0000 0.0000 Sr
0.5000 0.5000 0.5000 Sr
0.0000 0.5000 0.1740 Al
0.0000 0.5000 0.8260 Al
0.5000 0.0000 0.3260 Al
0.5000 0.0000 0.6740 Al
0.0000 0.0000 0.4204 Ga
0.0000 0.0000 0.5796 Ga
0.0000 0.5000 0.3312 Ga
0.0000 0.5000 0.6688 Ga
0.5000 0.0000 0.1688 Ga
0.5000 0.0000 0.8312 Ga
0.5000 0.5000 0.0796 Ga
0.5000 0.5000 0.9204 Ga
```

~~~~~

[1]
# Rb4Sb2O5
Theoretical powder X-ray diffraction pattern, Cu Kα (λ = 1.5418 Å). Input: DFT lattice parameters and positions (PBE).
Neutral-atom scattering factors, no anomalous dispersion.

Principal peaks in the range 2θ from 10° to 90°, most intense first:
two_theta  I (rel.)
29.34  100
26.50  29
38.34  28
27.20  24
48.58  23
49.41  18
60.85  14
45.36  10
63.87  9
53.30  8
15.96  8
53.69  7

```
11
Lattice="6.7262 0.0000 0.0000 0.0000 1.9995 9.8367 0.0000 -1.9995 9.8367" Properties=species:S:1:pos:R:3 pbc="T T T"
Rb 0.0000 0.0000 0.0000
Rb 0.0000 0.0000 6.4754
Rb 3.3631 0.0000 3.6308
Rb 3.3631 0.0000 16.8029
Sb 0.0000 0.0000 13.3435
Sb 3.3631 0.0000 9.8862
O 1.4899 0.0000 14.6035
O 1.8595 0.0000 8.6670
O 3.3631 0.0000 0.7506
O 4.8667 0.0000 8.6670
O 5.2364 0.0000 14.6035
```


[2]
# RbSbO3
Theoretical powder X-ray diffraction pattern, Cu Kα (λ = 1.5418 Å). Input: DFT lattice parameters and positions (PBE).
Neutral-atom scattering factors, no anomalous dispersion.

Principal peaks in the range 2θ from 10° to 90°, most intense first:
two_theta  I (rel.)
30.92  100
54.99  39
44.29  32
89.69  21
64.42  20
73.16  17
21.73  9
81.51  7
49.85  4
68.86  1
85.61  1

```
5
Lattice="4.0905 0.0000 0.0000 0.0000 4.0905 0.0000 0.0000 0.0000 4.0905" Properties=species:S:1:pos:R:3 pbc="T T T"
Rb 0.0000 0.0000 0.0000
Sb 2.0453 2.0453 2.0453
O 0.0000 2.0453 2.0453
O 2.0453 0.0000 2.0453
O 2.0453 2.0453 0.0000
```


[3]
# Rb4Sb2O5
Theoretical powder X-ray diffraction pattern, Cu Kα (λ = 1.5418 Å). Input: DFT lattice parameters and positions (PBE).
Neutral-atom scattering factors, no anomalous dispersion.

Principal peaks in the range 2θ from 10° to 90°, most intense first:
two_theta  I (rel.)
28.83  100
26.48  28
38.53  27
27.47  23
48.23  23
49.42  19
59.73  14
43.80  11
63.86  9
51.91  9
52.48  7
71.36  7

```
44
Lattice="19.4783 0.0000 0.0000 0.0000 6.7316 0.0000 0.0000 0.0000 8.2677" Properties=species:S:1:pos:R:3 pbc="T T T"
Rb 0.2285 1.6829 1.0334
On top of this, you operate with countless stories of your fellow officers gunned down in the line of duty. You’ve watched video after video of it. The danger has been drilled into you. Maybe you even witnessed a fellow officer get shot.
I can’t imagine it would be possible for you—for anyone, really—to do this job without being constantly influenced by fear and paranoia. Wouldn’t your only choice be to behave as though every single person you come into contact with has a loaded gun on them?
Now add racism back in, because reality.
In 2016, a Minnesota officer pulled over Philando Castile, supposedly because Castile matched the description of someone “involved in a robbery” and with minutes had shot Mr. Castile five times at point-blank range. We already know that unarmed Black men are killed by police at rates alarmingly higher than other ethnicities, but add an extra gun to the mix and a police officer is quite literally free to murder with impunity—the officer in Castile’s case was found not guilty of second-degree manslaughter.
Mr. Castile did absolutely nothing wrong. He did everything he was told. He was polite. He broke no laws. He informed the officer of his legally held weapon exactly as he was supposed to. He told the officer that he was reaching for his wallet, not his gun.
Cops are afraid of suspects with guns, and they are racist. They are scared of Black people—whether they’re suspects or not—who have guns. And don’t @ me with “not all cops.” Unless a police officer is vocally advocating to put an end to systemic racism in policing, that police officer is complicit.
Why are cops pro-gun rights anyway?
Katja Kircher/Getty
But let’s put racist policing aside again for a moment. Why don’t police speak up in favor of gun legislation? Why are they, in fact, pro-gun? Why in the actual fuck are police okay with being outgunned by their communities? I began research on this piece optimistic that I would find evidence of a reasonable percentage of police officers being pro-gun regulation. I found the opposite.
A famous and oft-quoted 2013 survey by Police One claimed that an overwhelming majority of police are in favor of concealed carry for “civilians who have not been convicted of a felony and/or not been deemed psychologically/medically incapable.”
One article at Police One claims, “What checks the sociopath from completing his act is fear. Fear of the unknown or known gun carrier who is going to punch his ticket to hell right then and right there. This has an immediate effect on reducing violent criminal activity.” But this assumption ignores the fact that six out of ten gun deaths are suicides, that the majority of murders are not committed by psychopaths, and that states with the highest levels of firearm ownership have higher rates of violent crime committed with a firearm.
Police assumptions about the causes of gun violence are telling. In the Police One survey, 1.6% of police officers surveyed believed gun crime had any relation to economic factors or income inequality. 38.1% believed gun crime was a result of a “decline in parenting and family values.” This survey has been presented as scientific—a “so there” in the face of advocates for stricter gun legislation. Except what is it, really? It’s a survey of the opinions of a highly cynical group of people—opinions based on anecdotal experiences. It’s not scientific. It didn’t study the actual causes of gun violence, only the incredibly biased opinions of the people who most frequently witness it.
A Quora thread asked how police really feel about gun control, and reading it made me sick to my stomach. The general consensus was that taking away civilians’ guns, or forcing them to register their firearms, always leads to a government takeover. “Look at history,” they’ll tell you, citing a couple of examples of extreme cases even as they conveniently leave out the many centuries-old democratic countries with strict gun laws, low rates of violent crime, and the happiest citizens in the world. Police have convinced themselves that an unarmed public leads to an authoritarian regime and total loss of citizen rights, every time. And they simply don’t believe that stricter gun legislation does anything to curb violent crime.
The truth is, police attitudes on gun legislation fly in the face of science.
Study after study shows that shootings—all kinds of shootings—are higher in places with looser gun laws. A 2017 study found that states with stricter gun laws had lower rates of fatal police shootings. A 2018 study found the same—police shooting deaths are “significantly and positively correlated with levels of household gun ownership, even after accounting for the other explanatory variables.”
Not only that, but police themselves are at greater risk of being fatally shot in states with higher rates of gun ownership. A 2015 study by the American Journal of Public Health found that from 1996 to 2010, an increase by 10% in firearm ownership in a state correlated to ten additional officer homicides.
Given these statistics, it’s baffling to me that police are not on the side of stricter gun legislation. How is it possible to effectively and peacefully police a community whose guns outnumber yours both in number and power? How does one approach a volatile situation—or even a relatively docile one—with a calm mindset when there is a 43% probability that any member of their community is armed as well as or better than they are? How does one interact peacefully in a community that operates in a constant state of paranoia and fear, of its police, of its government, of its own citizens?
I have said that we must defund police, and I believe that still. But how can we achieve that goal—rerouting funding to social outreach programs meant to prevent criminal behavior, installing mental health services in place of police intervention, and demilitarizing police—when the community being policed is itself so heavily militarized? Is it even possible to be a “good cop” when the citizens you’re sworn to protect outgun you? The evidence says no, it’s definitely not, and if we don’t address America’s obsession with guns—indeed, American law enforcement’s obsession with guns—it will be near impossible to address America’s problem of excessive force in policing.
This article was originally published on